• To do:
Search the entries further down for the word "final" and duplicate each line that has it.

• Material:
┌──
1.
AlTl3P, relaxed, DFT PBE; SG = Pm-3m, No. 221; formation energy from the elements = 0.58 eV/atom; calculated density = 7.23 g/cm³; final energy = -2.666 eV per atom; relative energy among the computed polymorphs = 0 meV/atom
1.0
-4.100 -2.978 -1.748
-1.195 -1.323 5.056
-3.240 4.257 0.349
Tl Al P
3 1 1
Direct
0.000 0.000 0.500 Tl
0.000 0.500 0.000 Tl
0.500 0.000 0.000 Tl
0.500 0.500 0.500 Al
0.000 0.000 0.000 P

=====

2.
Al2TlP, relaxed, DFT PBE; SG = C2/m, No. 12; formation energy from the elements = 0.39 eV/atom; calculated density = 5.97 g/cm³; final energy = -3.421 eV per atom; relative energy among the computed polymorphs = 449 meV/atom
1.0
-1.126 -0.433 5.862
3.170 -4.230 -2.806
2.729 0.091 1.313
Al P Tl
2 1 1
Direct
0.000 0.000 0.000 Al
0.500 0.500 0.000 Al
0.500 0.000 0.500 P
0.000 0.500 0.500 Tl

=====

3.
AlTlP2, relaxed, DFT PBE; SG = C2/m, No. 12; formation energy from the elements = 0.15 eV/atom; calculated density = 5.54 g/cm³; final energy = -4.084 eV per atom; relative energy among the computed polymorphs = 335 meV/atom
1.0
4.886 0.013 -0.030
3.809 3.061 -0.030
1.147 0.405 5.889
Al Tl P
1 1 2
Direct
0.750 0.750 0.750 Al
0.250 0.250 0.250 Tl
0.463 0.463 0.629 P
0.037 0.037 0.871 P

=====

4.
Al2TlP, relaxed, DFT PBE; SG = F-43m, No. 216; formation energy from the elements = 0.47 eV/atom; calculated density = 5.92 g/cm³; final energy = -3.348 eV per atom; relative energy among the computed polymorphs = 522 meV/atom
1.0
-0.394 -2.940 -3.848
3.516 -0.099 -3.352
2.879 -3.895 -0.386
P Al Tl
1 2 1
Direct
0.500 0.500 0.500 P
0.000 0.000 0.000 Al
0.250 0.250 0.250 Al
0.750 0.750 0.750 Tl
└──

• Here it is:
AlTl3P, relaxed, DFT PBE; SG = Pm-3m, No. 221; formation energy from the elements = 0.58 eV/atom; calculated density = 7.23 g/cm³; final energy = -2.666 eV per atom; relative energy among the computed polymorphs = 0 meV/atom
Al2TlP, relaxed, DFT PBE; SG = C2/m, No. 12; formation energy from the elements = 0.39 eV/atom; calculated density = 5.97 g/cm³; final energy = -3.421 eV per atom; relative energy among the computed polymorphs = 449 meV/atom
AlTlP2, relaxed, DFT PBE; SG = C2/m, No. 12; formation energy from the elements = 0.15 eV/atom; calculated density = 5.54 g/cm³; final energy = -4.084 eV per atom; relative energy among the computed polymorphs = 335 meV/atom
Al2TlP, relaxed, DFT PBE; SG = F-43m, No. 216; formation energy from the elements = 0.47 eV/atom; calculated density = 5.92 g/cm³; final energy = -3.348 eV per atom; relative energy among the computed polymorphs = 522 meV/atom